Invisible Movement version 7…is alive!
Happy new year! Happy new Invisible Movement!
I apologise to everyone for the enormous break this website needed to morph into what you’re looking at now. This is Invisible Movement version 7, codename imseven; took about 2 months to relocate and redirect data so no page gets lost, create the new design, test it with everyone from casual surfers to web design professionals, program everything necessary for displaying discography items and completely rewrite copy in some of the sections. And there’s still a lot to be done.
Why it took so long?
### Crystal structures that have nothing to do with the entry
/*
# 1
Computed powder XRD pattern of TlNiPt for Cu Kα (weighted mean of Kα1 and Kα2), from a structure optimized by DFT (GGA-PBE).
Lines closer than 0.1° are merged.

Atomic structure:
```
TlNiPt
1.0
8.3868 0.0000 0.0000
0.0000 4.4751 0.0000
-1.5349 0.0000 5.5583
Tl Ni Pt
4 4 4
Direct
0.1183 0.0000 0.3114
0.3817 0.5000 0.6886
0.6183 0.5000 0.3114
0.8817 0.0000 0.6886
0.0610 0.5000 0.7224
0.4390 0.0000 0.2776
0.5610 0.0000 0.7224
0.9390 0.5000 0.2776
0.2362 0.0000 0.8462
0.2638 0.5000 0.1538
0.7362 0.5000 0.8462
0.7638 0.0000 0.1538
```

Peak list (10 most intense, 15° ≤ 2θ ≤ 90°, sorted by position)
d/Å  Position (°2θ)  intensity
4.042  22.0  22
3.915  22.7  28
2.920  30.6  35
2.779  32.2  42
2.418  37.2  87
2.328  38.7  100
2.309  39.0  27
2.238  40.3  64
2.140  42.2  28
1.978  45.9  48

# 2
Computed powder XRD pattern of Tm8Ni3Pt2 for Cu Kα (weighted mean of Kα1 and Kα2), from a structure optimized by DFT (GGA-PBE).
Lines closer than 0.1° are merged.

Atomic structure:
```
Tm8Ni3Pt2
1.0
7.1833 -3.5386 0.0000
7.1833 3.5386 0.0000
-1.6739 0.0000 6.2394
Tm Ni Pt
8 3 2
Direct
0.0845 0.0845 0.3721
0.1331 0.6233 0.1176
0.3490 0.3490 0.6151
0.3767 0.8669 0.8824
0.6233 0.1331 0.1176
0.6510 0.6510 0.3849
0.8669 0.3767 0.8824
0.9155 0.9155 0.6279
0.3179 0.6821 0.5000
0.5000 0.5000 0.0000
0.6821 0.3179 0.5000
0.2346 0.2346 0.1865
0.7654 0.7654 0.8135
```

Peak list (10 most intense, 15° ≤ 2θ ≤ 90°, sorted by position)
d/Å  Position (°2θ)  intensity
3.078  29.0  52
2.957  30.2  81
2.689  33.3  82
2.621  34.2  62
2.604  34.4  100
2.464  36.5  72
2.169  41.6  55
2.142  42.2  50
1.838  49.6  62
1.464  63.6  40

# 3
Computed powder XRD pattern of Tm3Ni2Pt for Cu Kα (weighted mean of Kα1 and Kα2), from a structure optimized by DFT (GGA-PBE).
Lines closer than 0.1° are merged.

Atomic structure:
```
Tm3Ni2Pt
1.0
11.3311 0.0000 0.0000
0.0000 3.9765 0.0000
0.0000 0.0000 11.1133
Tm Ni Pt
12 8 4
Direct
0.0527 0.2500 0.1219
0.1219 0.7500 0.5650
0.2054 0.2500 0.8170
0.2946 0.7500 0.3170
0.3781 0.2500 0.0650
0.4473 0.7500 0.6219
0.5527 0.2500 0.3781
0.6219 0.7500 0.9350
0.7054 0.2500 0.6830
0.7946 0.7500 0.1830
0.8781 0.2500 0.4350
0.9473 0.7500 0.8781
0.0043 0.7500 0.3015
0.1808 0.7500 0.0007
0.3192 0.2500 0.5007
0.4957 0.2500 0.8015
0.5043 0.7500 0.1985
0.6808 0.7500 0.4993
0.8192 0.2500 0.9993
0.9957 0.2500 0.6985
0.1247 0.2500 0.3755
0.3753 0.7500 0.8755
0.6247 0.2500 0.1245
0.8753 0.7500 0.6245
```

Peak list (10 most intense, 15° ≤ 2θ ≤ 90°, sorted by position)
d/Å  Position (°2θ)  intensity
3.124  28.6  41
2.808  31.9  35
2.745  32.6  22
2.711  33.0  87
2.698  33.2  26
2.456  36.6  100
2.259  39.9  37
2.113  42.8  40
1.988  45.6  47
1.915  47.5  27

# 4
Computed powder XRD pattern of Tm3NiPt2 for Cu Kα (weighted mean of Kα1 and Kα2), from a structure optimized by DFT (GGA-PBE).
Lines closer than 0.1° are merged.

Atomic structure:
```
Tm3NiPt2
1.0
11.2385 0.0000 0.0000
0.0000 4.0766 0.0000
0.0000 0.0000 11.1470
Tm Ni Pt
12 4 8
Direct
0.0486 0.2500 0.1247
*/
### Here the entry continues
Imagine a room where some things have not been touched from 3 up to 7 years. That’s a long time, isn’t it? To illustrate it even better, imagine you were cleaning your room every day while in school and then you started working, moved someplace else and left your belongings behind…any similar scenario would do. Fast forward to the moment you come back and think the mess will take just a day to clean. Nah, it won’t. For some things, even if you were really careful about where you were putting them
That’s how it was like with I-M. Despite sketches for a better organised version and a new layout existing one month after the most recent one went up in September 2008, life happened.
Why was this done, anyway?
-- Attached: data records --
********
The following is a calculated X-ray diffraction stick pattern of LaPrTe2. It was derived from a cell relaxed with GGA-PBE, using Cu Kα.
Intensities are scaled so that the largest is 100.

Most intense lines, 2θ = 15–90°, in order of falling intensity:
27.68 deg, intensity 100; 39.44 deg, intensity 39; 39.67 deg, intensity 38; 48.86 deg, intensity 21; 64.52 deg, intensity 18; 64.84 deg, intensity 18; 71.67 deg, intensity 13; 57.17 deg, intensity 13

```
data_LaPrTe2
_cell_length_a 7.857
_cell_length_b 7.857
_cell_length_c 7.857
_cell_angle_alpha 33.81
_cell_angle_beta 33.81
_cell_angle_gamma 33.81
_space_group_name_H-M_alt 'P 1'
_space_group_IT_number 1
loop_
_space_group_symop_operation_xyz
'x,y,z'
loop_
_atom_site_label
_atom_site_fract_x
_atom_site_fract_y
_atom_site_fract_z
La1 0.000 0.000 0.000
Pr1 0.500 0.500 0.500
Te1 0.249 0.249 0.249
Te2 0.751 0.751 0.751
```

=====

Mn4SiO6: computed XRD peak list (Cu Ka), based on a structure optimized by DFT (GGA+U).
No peak broadening, texture or thermal motion is included.

Largest 10 diffraction maxima, by angle, 2θ from 10° to 90°:
| d (Å) | Rel. int. |
| --- | --- |
| 4.354 | 40 |
| 3.197 | 59 |
| 2.986 | 54 |
| 2.931 | 62 |
| 2.891 | 100 |
| 2.794 | 95 |
| 2.613 | 39 |
| 2.515 | 62 |
| 2.421 | 79 |
| 2.199 | 38 |

Cell and atoms:
```
Mn4SiO6
1.0
5.2209 -2.9152 0.0000
5.2209 2.9152 0.0000
-3.9735 0.0000 9.7782
Mn Si O
8 2 12
Direct
0.0801 0.3020 0.8215
0.1060 0.8940 0.5000
0.1718 0.5763 0.1578
0.3020 0.0801 0.3215
0.5450 0.7735 0.0164
0.5763 0.1718 0.6578
0.7735 0.5450 0.5164
0.8940 0.1060 0.0000
0.1614 0.7116 0.7564
0.7116 0.1614 0.2564
0.1252 0.6181 0.5880
0.2577 0.8510 0.1214
0.3220 0.8896 0.8258
0.3425 0.4283 0.8145
0.4283 0.3425 0.3145
0.4428 0.9213 0.4993
0.6181 0.1252 0.0880
0.8510 0.2577 0.6214
0.8611 0.8898 0.7954
0.8896 0.3220 0.3258
0.8898 0.8611 0.2954
0.9213 0.4428 0.9993
```

=====

(1)
Theoretical X-ray powder pattern of Ca3YMn3B4O15 for λ = 1.5418 Å (Cu Kα), from a cell relaxed with PBE+U.
No peak broadening, texture or thermal motion is included.

Structural model:
Unit cell a=10.6439 b=6.0361 c=10.6502 alpha=90.00 beta=119.67 gamma=90.00
Positions (direct):
Ca  0.0000  0.0000  0.0000
Ca  0.0434  0.0000  0.4887
Ca  0.1279  0.5000  0.2850
Ca  0.1984  0.0000  0.8432
Ca  0.5520  0.0000  0.0376
Ca  0.7139  0.5000  0.9116
Y  0.5300  0.5000  0.5082
Y  0.7594  0.5000  0.3269
Mn  0.3637  0.2524  0.6740
Mn  0.3637  0.7476  0.6740
Mn  0.3679  0.2520  0.1755
Mn  0.3679  0.7480  0.1755
Mn  0.8653  0.2509  0.6773
Mn  0.8653  0.7491  0.6773
B  0.0858  0.5000  0.9436
B  0.0964  0.5000  0.6247
B  0.3177  0.0000  0.3932
B  0.4128  0.5000  0.9545
B  0.6308  0.0000  0.7221
B  0.6506  0.0000  0.4054
B  0.8629  0.2576  0.1775
B  0.8629  0.7424  0.1775
O  0.0375  0.2991  0.8708
O  0.0375  0.7009  0.8708
O  0.1686  0.2992  0.6522
O  0.1686  0.7008  0.6522
O  0.1852  0.5000  0.0906
O  0.2493  0.0000  0.0841
O  0.2615  0.0000  0.4844
O  0.3387  0.5000  0.5491
O  0.3460  0.2049  0.3491
********
The previous theme was a year or two beyond its time even when it was created, it lacked a lot of fine tuning; it wasn’t as editable as it was meant to be and the user experience was horrible. What does that mean? A simple example: the search box wasn’t as prominent as it should be and people were sending a lot of emails about things that actually were on the site. That means both they and I were wasting time trying to find out what they needed. Another bad solution was password-protecting blank pages instead of writing “coming soon”. Let’s not bother with all the examples of things that needed change.
The Visual Concept & Presentation
The goal was to keep the artistic vibe, yet have clearer structure, better navigation, faster loading times and, of course, quality content that can be extended whenever necessary. The idea behind this design was to embrace all the styles John’s been typically showing through his music; but that was a bit impossible, due to how versatile those styles are. The choice had to be narrowed down to the most prominent ones.
The result? A 90s-meets-60s alternativehippiepsychedeliafunk!
The navigation might not be as pretty as it used to be, but it’s been simplified and it’s extensible – if there’s need for anything new, it will easily be added, in the right place.
The search button is in a place where you can spot it easily, it precisely tells you what to do, what not to do and if you get confused, it even provides an example search string for you.
News are presented in two colums, with an image and the first couple of sentences. Just like it was the case many times before – to read an entire news item, you have to click on the item title. As it has always been the case, you can browse news from the front page to the last page back in 2004, by month, year, category or keyword.
Five most recent releases John was featured on, whether they were albums or interviews/performances on DVDs and in theatre-only films, have been listed on the front page, with a small description. This idea came to be as many people were absolutely convinced that The Empyrean was his only work after leaving the Red Hot Chili Peppers. This way, the last five things maestro appeared on will be the first thing you see when you visit the site; you can read a quick description, see the image and buy it if you like; and for more information, you can click on the release and get down to details. Music is what matters most!
The newsletter and RSS subscription options, three most recent tweets and retweets from I-M Twitter and the most recent poll are featured on the front page sidebar, too. On the pages’ and separate news items’ sidebars, the recent releases are replaced by recent news. In the footer, there’s short section of site information, the Facebook Like box, the four most recent galleries, links to friends of I-M and anything official related to John and musicians he’s been majorly involved in past and present.
The Sections
INFO– New name for the stupidly-titled “Of The Man” section. At this point in time, it only contains a timeline, biography, short 411 file and a page on tattoos. More to be added back soon. Oh, and you won’t be able to see it for the next couple of days, until I make it prettier.
DISCOGRAPHY – Completely re-vamped. You will see the rumour mill, see what was never released, disguinish official releases from unofficial ones and list everything by people involved, type of release and, of course, the month/year it was released. And when will you see it? Come next week. If you ask about the tabs & co, they’ll be implemented there, most likely.
GIGOGRAPHY – Still under re-vamp, similar to the one described above. If we waited on it, the site would’ve remained closed until mid-March and that’s not such a good idea. However, two minor pages are already up: a list of cover songs and solo songs played live.
PRESS – Hasn’t changed, other than its name. It used to be called Articles.
GALLERY – Hasn’t changed. But hey, it works and a lot of updates have been scheduled.
AUDIO – Split from “Downloads”. The covers and solo songs from RHCP shows are temporarily down, in order not to confuse anyone. The rest is being populated with 320 Kbps and FLAC files, whenever available.
VIDEO – A redirect to the video archive, featuring its 2009 design and, at this moment, no new videos. But I’m currently deciding what to do with it and how to present it to you.
LINKS – This lacked prominence in the previous version, therefore it’s now in the main menu, with links that were previously there, in random order. The links are being re-checked.
STORE – To save everyone’s time, I put all the CDs, DVDs and the like on a bunch of lists and linked it for you.
SITE – Completely re-written. Features a guide on how to format the things you’re contributing to the site, a proper contact form, a better information page and guidelines on what can be published here and what cannot.
MORE – Links to the site’s outlets aka social networking profiles aka new media channels (if you get the last thing, you’ve been coming here for at least 3 years!). This will probably be placed somewhere else in the next couple of days.
What Else Is There To Know?
To view this website properly, I recommend screen at least 1280 pixels wide, though things should work at 1024 pixels as well.
To download audio files, until the replacement plugin starts working on this server, you need to use browser other than Mozilla Firefox or, simply, rename your files when downloading them.
At this point, the design/layout is not responsive. It won’t shrink on those ity-bity smartphone screens.
The design has not been tested on ancient browsers such as Internet Explorer 6.
The news from the two months the site was down have been actually published. You can go and catch up!
Thank You!
== The piece is interrupted by materials data ==
Diffraction record for Hf3Cd3AgF20. The powder diffraction line list is theoretical, not measured: it uses the PBE geometry in the Materials Project and Cu Kα (λ = 1.5418 Å).
No peak broadening, texture or thermal motion is included.

Atomic structure:
```
54
Lattice="10.6810 0.0000 0.0000 -5.3405 9.2500 0.0000 0.0000 0.0000 8.4727" Properties=species:S:1:pos:R:3 pbc="T T T"
Hf -0.7436 3.8587 2.1182
Hf -1.6270 7.9646 2.1182
Hf 2.9699 2.5733 6.3545
Hf 2.3706 6.6767 2.1182
Hf 6.9675 1.2854 6.3545
Hf 6.0841 5.3913 6.3545
Cd -0.5771 4.0025 6.3545
Cd -1.5857 7.7485 6.3545
Cd 3.1777 2.5010 2.1182
Cd 2.1628 6.7490 6.3545
Cd 6.9262 1.5015 2.1182
Cd 5.9175 5.2475 2.1182
Ag 0.0000 0.0000 2.1182
Ag 0.0000 0.0000 6.3545
F 0.0000 0.0000 0.0000
F 0.0000 0.0000 4.2363
F -3.9092 7.3735 6.3545
F -2.5214 5.4087 6.3545
F -3.5168 7.1658 2.1182
F -0.7168 3.9335 0.1245
F -0.7168 3.9335 4.1118
F -1.4058 5.8643 2.1182
F 0.9095 2.1778 6.3545
F 0.8931 2.6214 2.1182
F 2.3407 0.3013 2.1182
F -1.5756 7.9041 0.1245
F -1.5756 7.9041 4.1118
F 2.7168 0.5373 6.3545
F 0.0000 6.1667 6.3545
F 0.9648 5.1004 2.1182
F 1.9171 4.3621 6.3545
F 3.0481 2.5875 4.3609
F 3.0481 2.5875 8.3481
F 0.4411 7.5353 2.1182
F 4.7362 0.5208 2.1182
F 0.6043 8.7292 6.3545
F 4.8994 1.7147 6.3545
F 2.2924 6.6625 0.1245
F 2.2924 6.6625 4.1118
F 3.4234 4.8879 2.1182
F 4.3757 4.1496 6.3545
F 5.3405 3.0833 2.1182
F 2.6237 8.7127 2.1182
F 6.9161 1.3459 4.3609
F 6.9161 1.3459 8.3481
F 2.9998 8.9488 6.3545
F 4.4474 6.6286 6.3545
F 4.4310 7.0722 2.1182
F 6.7463 3.3857 6.3545
F 6.0573 5.3165 4.3609
F 6.0573 5.3165 8.3481
F 8.8573 2.0842 6.3545
F 7.8619 3.8413 2.1182
F 9.2497 1.8765 2.1182
```

Main lines, low angle first (10 to 90 degrees two-theta):
| 2theta | d (Å) | intensity |
| --- | --- | --- |
| 20.97 | 4.236 | 667 |
| 25.48 | 3.496 | 1000 |
| 33.22 | 2.697 | 525 |
| 42.68 | 2.118 | 160 |
| 44.91 | 2.019 | 324 |
| 50.06 | 1.822 | 293 |
| 50.37 | 1.812 | 302 |
| 52.34 | 1.748 | 150 |
| 56.99 | 1.616 | 143 |
| 63.68 | 1.461 | 209 |
| 69.75 | 1.348 | 120 |
| 86.89 | 1.121 | 120 |

=====

Diffraction record for Eu3Bi. The powder diffraction line list is theoretical, not measured: it uses the PBE geometry in the Materials Project and Cu Kα (λ = 1.5418 Å).
No peak broadening, texture or thermal motion is included.

Atomic structure:
```
8
Lattice="7.3907 0.0000 0.0000 -3.6953 6.4005 0.0000 0.0000 0.0000 5.9747" Properties=species:S:1:pos:R:3 pbc="T T T"
Eu 0.0000 2.2232 1.4937
Eu -1.7700 5.2889 1.4937
Eu 1.9253 1.1116 4.4810
Eu 1.7700 5.2889 1.4937
Eu 5.4654 1.1116 4.4810
Eu 3.6953 4.1774 4.4810
Bi 0.0000 4.2670 4.4810
Bi 3.6953 2.1335 1.4937
```

Main lines, low angle first (10 to 90 degrees two-theta):
| 2theta | d (Å) | intensity |
| --- | --- | --- |
| 27.88 | 3.200 | 231 |
| 29.91 | 2.987 | 261 |
| 31.72 | 2.821 | 1000 |
| 41.34 | 2.184 | 163 |
| 49.32 | 1.848 | 192 |
| 54.25 | 1.691 | 221 |
| 58.76 | 1.571 | 228 |
| 59.84 | 1.546 | 160 |
| 76.34 | 1.247 | 80 |
| 81.12 | 1.186 | 133 |
| 83.16 | 1.162 | 88 |
Special thanks goes to the super-talented girls who drew the images you see on top: Clémence Fromager and Ana Mainero. Work by another talented artist, Alba Miocev, will be featured throughout the site once the pages it was meant for are finished.
Another special thanks goes to my dear friend Maja Miljković who helped me by alpha-testing the whole thing and and to the numerous beta-testers.
Many thanks to Travis Lopes who helped me iron out problems with Twitter updates, as well as many other things in the past – your help is appreciated.
Last, but not the least: thank you, all of you. Seriously. Patience is a virtue and you’ve been patient!